Scotland’s Climate Change Plan makes a policy commitment to reduce greenhouse gas (GHG) emissions from nitrogen fertiliser through improved understanding, efficient application and better soil condition.
This report considers the potential for nitrogen and urease inhibitors to support emission reductions in Scotland, considering Scottish circumstances and conditions, such as soils, crops, rainfall and temperature.
These inhibitors are particularly important for those who are modelling both GHG emissions and air quality. However, while some studies provide consistent messages concerning the evidence of their effectiveness and their impacts on the wider environment, others are contradictory.
Main findings
The evidence indicates that:
- There is generally a positive potential impact of inhibitors on GHG and ammonia emissions under Scottish conditions, especially for nitrification inhibitors.
- There are no significant concerns over the efficacy of inhibitors in Scotland. Low uptake relates to the niche market; inhibitors are primarily supplied for agronomic benefit with relatively marginal economic gains in most circumstances.
## Next to the text, the page also holds records of crystals
********
Entry 1:
This record from Alexandria describes a geometry-optimized NdSn6 structure. The functional is PBE.

As for the raw total energy: -3.764 eV per atom. Its formation energy is 0.35 eV/atom. Its magnetic moment is 1.55 μB per cell. The crystal system is cubic.

It has space group Im-3m (No. 229), with a = 8.063 Å, b = 8.063 Å, c = 8.063 Å, α = 90.00°, β = 90.00° and γ = 90.00°. Symmetry generates all atoms from Nd at (0.000, 0.000, 0.000) and Sn at (0.000, 0.250, 0.500).

***

Entry 2:
This record from Alexandria describes a geometry-optimized YZnB structure. The functional is PBE.

As for the raw total energy: -5.025 eV per atom. Its formation energy is -0.22 eV/atom. Its magnetic moment is 0.00 μB per cell. The crystal system is monoclinic. The polymorph energy (0 for the lowest one) comes out at 0.1533 eV/atom.

It has space group C2/m (No. 12), with a = 10.274 Å, b = 3.640 Å, c = 6.526 Å, α = 90.00°, β = 128.47° and γ = 90.00°. Symmetry generates all atoms from Y at (0.073, 0.000, 0.331), Zn at (0.219, 0.500, 0.830) and B at (0.106, 0.500, 0.066).

***

Entry 3:
This record from Alexandria describes a geometry-optimized Sm4ThBi5 structure. The functional is PBE.

As for the raw total energy: -5.438 eV per atom. Its formation energy is -0.87 eV/atom. Its magnetic moment is 0.00 μB per cell. The crystal system is tetragonal. The polymorph energy (0 for the lowest one) comes out at 0.0000 eV/atom.

It has space group I4/m (No. 87), with a = 10.210 Å, b = 10.210 Å, c = 6.464 Å, α = 90.00°, β = 90.00° and γ = 90.00°. Symmetry generates all atoms from Sm at (0.100, 0.699, 0.000), Th at (0.000, 0.000, 0.500), Bi at (0.000, 0.000, 0.000) and Bi at (0.100, 0.699, 0.500).

***

Entry 4:
This record from Alexandria describes a geometry-optimized BaSrMgHg2 structure. The functional is PBE.

As for the raw total energy: -1.456 eV per atom. Its formation energy is -0.30 eV/atom. Its magnetic moment is 0.00 μB per cell. The crystal system is trigonal.

It has space group P3m1 (No. 156), with a = 4.7683 Å, b = 4.7683 Å, c = 9.6882 Å, α = 90.00°, β = 90.00° and γ = 120.00°. Symmetry generates all atoms from Ba at (0.0000, 0.0000, 0.0000), Sr at (0.6667, 0.3333, 0.4248), Mg at (0.3333, 0.6667, 0.6853), Hg at (0.3333, 0.6667, 0.2313) and Hg at (0.6667, 0.3333, 0.7702).

***

Entry 5:
This record from Alexandria describes a geometry-optimized CoSe2Br structure. The functional is PBE.

As for the raw total energy: -4.095 eV per atom. Its magnetic moment is 0.00 μB per cell. The calculation puts the formation energy from raw total energies at -0.158 eV per atom. The crystal system is orthorhombic. The polymorph energy (0 for the lowest one) comes out at 0.0479 eV/atom.

It has space group Pna2_1 (No. 33), with a = 6.383 Å, b = 8.767 Å, c = 6.352 Å, α = 90.00°, β = 90.00° and γ = 90.00°. Symmetry generates all atoms from Co at (0.022, 0.152, 0.000), Se at (0.186, 0.980, 0.749), Se at (0.192, 0.697, 0.726) and Br at (0.201, 0.335, 0.776).

~~~~~
********
- While the efficacy of inhibitors has been confirmed by the review, there remain uncertainties over the magnitude of emissions reductions. There are also questions relating to the environmental risk, trade-offs with potential emission/pollution switching, industry knowledge and practical implementation.
- The persistence of the effects for both nitrification and urease inhibitors are likely to be impacted by a warmer climate, although any impact is likely to be minimal. Emissions from unabated fertilisers are expected to increase as climate change progresses. Under these conditions, the role of inhibitors as a tool in mitigating emissions becomes increasingly important.
The evidence for environmental risks includes:
- There is little evidence exploring the impacts of N inhibitors on soil health and on impacts to non-target and nitrifying organisms.
'''
HfMnPCl2: optimized geometry, PBE-GGA.

Lattice parameters (Å, degrees): 4.873 4.873 5.192 90.00 90.00 90.00
Fractional positions:
Hf  0.000  0.000  0.000
Mn  0.500  0.500  0.500
P  0.000  0.000  0.500
Cl  0.000  0.500  0.000
Cl  0.500  0.000  0.000

* calculated density: 4.5 Mg/m³
* DOS(E_F): 2.69 states/eV/f.u.
* calculated total energy: -29.63 eV per cell
* energy above the most stable polymorph in this dataset: 0 meV/atom

~~~~~

1) First-principles (GGA-PBE) data for a relaxed AsN2F crystal, as listed in the Alexandria database.

a = 5.248 Å, b = 5.248 Å, c = 7.622 Å
α = 90.00°, β = 90.00°, γ = 90.00°
Space group I-42d (No. 122)
Asymmetric unit:
As 0.000 0.000 0.000
N 0.160 0.250 0.125
F 0.000 0.000 0.500

Results
N(E_F): 0.173 states/eV/atom
volume: 13.12 Å³ per atom



2) First-principles (GGA-PBE) data for a relaxed AsN2F crystal, as listed in the Alexandria database.

a = 5.265 Å, b = 5.265 Å, c = 5.265 Å
α = 90.00°, β = 90.00°, γ = 90.00°
Space group Fm-3m (No. 225)
Asymmetric unit:
As 0.000 0.000 0.000
N 0.250 0.250 0.250
F 0.000 0.000 0.500

Results
N(E_F): 0.728 states/eV/atom
volume: 9.12 Å³ per atom



1) is preferred energetically. Next in line: 571 meV/atom higher.



1) First-principles (GGA-PBE) data for a relaxed NaAsN2F crystal, as listed in the Alexandria database.

a = 4.401 Å, b = 4.401 Å, c = 3.876 Å
α = 90.00°, β = 90.00°, γ = 90.00°
Space group P4/mmm (No. 123)
Asymmetric unit:
Na 0.000 0.000 0.000
As 0.500 0.500 0.500
N 0.000 0.500 0.000
F 0.000 0.000 0.500

Results
N(E_F): 0.111 states/eV/atom
volume: 15.01 Å³ per atom



2) First-principles (GGA-PBE) data for a relaxed NaAsN2F crystal, as listed in the Alexandria database.

a = 3.676 Å, b = 3.676 Å, c = 4.536 Å
α = 90.00°, β = 90.00°, γ = 90.00°
Space group P4/mmm (No. 123)
Asymmetric unit:
Na 0.000 0.000 0.000
As 0.500 0.500 0.500
N 0.000 0.500 0.500
F 0.500 0.500 0.000

Results
N(E_F): 0.260 states/eV/atom
volume: 12.26 Å³ per atom



2) is preferred energetically. Next in line: 1302 meV/atom higher.



1) First-principles (GGA-PBE) data for a relaxed AsPN2F crystal, as listed in the Alexandria database.

a = 3.701 Å, b = 3.701 Å, c = 3.689 Å
α = 90.00°, β = 90.00°, γ = 90.00°
Space group P4/mmm (No. 123)
Asymmetric unit:
As 0.000 0.000 0.000
P 0.500 0.500 0.500
N 0.000 0.500 0.500
F 0.500 0.500 0.000

Results
N(E_F): 0.235 states/eV/atom
volume: 10.10 Å³ per atom



2) First-principles (GGA-PBE) data for a relaxed AsPN2F crystal, as listed in the Alexandria database.

a = 3.888 Å, b = 3.888 Å, c = 3.797 Å
α = 90.00°, β = 90.00°, γ = 90.00°
Space group P4/mmm (No. 123)
Asymmetric unit:
As 0.000 0.000 0.000
P 0.500 0.500 0.500
N 0.000 0.500 0.000
F 0.000 0.000 0.500

Results
N(E_F): 0.385 states/eV/atom
volume: 11.48 Å³ per atom



1) is preferred energetically. Next in line: 416 meV/atom higher.

~~~~~

Record 1
{
  "formula": "Tl2BrCl",
  "functional": "PBE-GGA",
  "state": "relaxed",
'''
So much for the records of crystals:
- Use of nitrification inhibitors can lead to increases in ammonia emissions. However, alongside this, there are benefits for other environmental indicators (particularly GHG emissions and nitrate leaching). The potential increase in ammonia emissions can be mitigated by use of nitrification and urease inhibitors together.
- Some research highlights the risk of DCD (dicyandiamide – a nitrification inhibitor) leaching into surface and ground waters. This can have adverse effects on aquatic systems.
- There are concerns regarding animal consumption (directly or via traces found on grass/hay) as DCD has been found in dairy products in New Zealand. This led to DCD being banned in New Zealand.
- Increased risk of ammonia release from use of nitrification inhibitors will have adverse impacts on ecosystem biodiversity through deposition and increased N loading to sensitive sites.
The main practical/commercial considerations are:
- Nitrification and urease inhibitors are not widely used due to poor cost effectiveness under conventional economic analysis at farm gate (i.e. not considering externalities of environmental or societal costs).
- In the agriculture industry, there remains significant misunderstanding over the roles and practical application of inhibited fertilisers.
- Investment in nitrification inhibitors will not be driven by market pull. Stakeholders feel N inhibitors are not currently attractive prospects for increased investment.
- Urease inhibitors are more commercially viable (compared with nitrification inhibitors) and have potential economic benefits due to the potentially high emissions of ammonia losing significant N content. Interest and awareness of urease inhibitors is greater.
/*
A plane-wave DFT calculation with PBE was carried out for a geometry-optimized VZn2Cu2 structure.

## Properties
- Energy above the lowest structure with this stoichiometry: 17 meV per atom
- N(E_F): 0.6549 states/eV per atom
- Density: 7.62 Mg/m³
- Calculated formation energy: 0.123 eV/atom
- Magnetization: 1.26 μB per formula unit
- SG: P4/mbm

Cell and atoms, written as POSCAR:
```
VZn2Cu2
1.0
-3.967 2.790 -5.297
-4.411 -5.659 0.322
-1.471 1.247 1.759
V Cu Zn
2 4 4
direct
0.000 0.000 0.000 V
0.500 0.500 0.000 V
0.170 0.670 0.500 Cu
0.670 0.830 0.500 Cu
0.830 0.330 0.500 Cu
0.330 0.170 0.500 Cu
0.871 0.629 0.000 Zn
0.371 0.871 0.000 Zn
0.129 0.371 0.000 Zn
0.629 0.129 0.000 Zn
```

=====

# 1
Below is crystalline GeAuS2N at its relaxed geometry, with properties calculated at the GGA-PBE level.

Values from the calculation:
Final energy (eV/cell): -19.12
Excess energy over the best structure of this formula in the dataset (meV/atom): 130.2
N(E_F) (states/eV/cell): 3.23

abc: 5.0654 5.0654 3.7811
angles: 90.00 90.00 90.00
Space group P4/mmm (No. 123)
Symmetry-distinct sites (fractional):
Ge: 0.0000 0.0000 0.0000 (multiplicity 1)
Au: 0.5000 0.5000 0.5000 (multiplicity 1)
S: 0.0000 0.5000 0.5000 (multiplicity 2)
N: 0.5000 0.5000 0.0000 (multiplicity 1)


# 2
Below is crystalline GaSiNi2B at its relaxed geometry, with properties calculated at the GGA-PBE level.

Values from the calculation:
Final energy (eV/cell): -21.44
N(E_F) (states/eV/cell): 1.71

abc: 4.4395 4.4395 3.7537
angles: 90.00 90.00 90.00
Space group P4/mmm (No. 123)
Symmetry-distinct sites (fractional):
Ga: 0.0000 0.0000 0.0000 (multiplicity 1)
Si: 0.5000 0.5000 0.5000 (multiplicity 1)
Ni: 0.0000 0.5000 0.0000 (multiplicity 2)
B: 0.0000 0.0000 0.5000 (multiplicity 1)
*/
- Price sensitivity: farmers in the UK are very sensitive to fertiliser price and will seek the most cost-effective source of N. A perception of little or no economic value in inhibited fertilisers will discourage adoption.